Prayers Aren’t Just For The Pew

Finding Time To Pray In A Digital World

In the world today, life is hectic! Very few people will disagree. It doesn’t matter if we work in corporate America, are a small business owner, or a stay-at-home parent, life can be and well, let’s face it, most of the time it is hectic

Our days consist of so many commitments we’ve laid on ourselves that it is very difficult to figure out how to get it all done. Time management gurus want to say, “You need to manage your time more carefully.” Oh, don’t worry, time is being managed. We simply do not have enough hours in the day to get everything that we deem a priority completed. We’ve over committed ourselves or perhaps, we simply have more on our plate than we can chew, or so it feels that way.

We all pretty much work the same calendar. Weekdays are intended for work and taking care of family, tackling chores and finishing up other lose ends. Weekends are sometimes a time for unwinding, not moving as quickly, but still, there’s a list and we have to get it done before the hustle and bustle of the new week comes. 

So prayer, what do we do about praying, spending quality time with God? Prayer, well, we leave that for Sunday mornings, right? It’s typically in a pew or seat, before the pastor leads his sermon or priest begins his mass. It’s a very easy and convenient place for it, after all. Prayer in the pew is great!  Hey, we made it to church and that’s a great accomplishment for many! 

What if? What if we could spend more time in the presence of God? Would you take it? Would you be willing?  Well, this post may have a solution for you.  

So let’s first define prayer. What is it? Is it certain, concrete, of a particular form? No. Prayer is the intimate and unique way in which we connect to God. It can be while we are alone or it could be within a group of people. Prayer is fluid. Prayer does not limit itself. It is not reserved for a particular time or place.  Not at all. We can pray just about anywhere, with anyone about anything at any time. Any time you are creating a connection with God,  you are praying. Recognizing this truth, makes it much easier for us to implement prayer into our daily routine.

So, here are some different digital avenues to help us add prayer to our daily routine: 

  • Through music. Listen to a favorite Christian station or find one that fits your mood. There are traditional hymn, rock,  and pop Christian music all over for you to stream. 
  • On Podcasts. There are so many different opportunities for you to listen to God’s word through an assortment of various Podcasts. You can find daily devotionals, scripture readings, Christian talk channels, daily masses, novenas, rosary prayers, audio books, etc. Just about anything you can imagine, you can find it in a Podcast. 
  • On Television. Have you seen the numerous Christian related movies and series that are streaming? There are tons. 
  • Through the Social Media. Follow pages on social media platforms that give inspiration and encouragement; talk about Christ and scripture. 
  • Via Email: Sign up to receive daily or weekly inspiration, scripture, prayers. 
  • In Internet Searches: Create favorites from sites you’ve found on the internet.
  • eBooks: Find an audible book or ebook of a Christian writer or topic of interest.

## Quantum chemistry results from another source follow
........
A 5-piece molecular cluster, C23H42Cl2O15S overall, computed with ωB97M-V/def2-TZVPD.

Structure (XYZ):
```
83
Properties=species:S:1:pos:R:3:forces:R:3:lowdin_charge:R:1
C 2.505981 3.793331 2.397239 -0.23 0.02 -0.12 -0.13
C 1.134514 3.180559 2.419416 0.07 -0.06 0.30 -0.70
Cl 0.452656 2.828194 0.859026 -0.03 0.03 -0.06 0.75
C 0.426620 2.920280 3.519781 0.08 0.04 -0.37 -0.65
Cl 1.137904 3.377602 5.046384 0.00 -0.02 -0.03 0.72
C -0.940975 2.300499 3.642724 -0.07 -0.20 -0.03 -0.38
C -1.152506 0.952622 2.925007 -0.43 0.33 0.02 -0.14
C -2.417393 0.318752 3.482216 0.36 -0.32 0.04 -0.17
O -3.561856 1.107424 3.066363 -0.15 0.14 0.02 -0.24
S -3.620106 2.557673 3.714430 -0.21 0.30 0.67 0.61
O -3.579975 2.414482 5.141754 0.18 -0.04 -0.21 -0.26
O -4.710642 3.266378 3.128106 0.16 -0.31 -0.31 -0.25
C -2.064566 3.250230 3.190474 0.06 -0.08 0.29 -0.17
H 2.442359 4.815666 2.775568 0.13 -0.02 0.00 0.08
H 2.892717 3.811330 1.381444 0.03 0.02 0.03 0.06
H 3.193925 3.231337 3.028448 -0.03 0.03 0.03 0.08
H -1.106083 2.123947 4.707405 0.13 0.04 0.01 0.11
H -1.362716 1.159936 1.873765 0.30 -0.25 -0.07 0.09
H -0.301050 0.277714 3.000823 0.02 0.04 0.11 0.13
H -2.573274 -0.682369 3.086679 -0.17 0.10 -0.14 0.13
H -2.400011 0.253645 4.571723 -0.08 0.05 -0.01 0.13
H -2.009274 4.213033 3.700409 0.00 0.03 -0.10 0.13
H -2.076409 3.379764 2.108712 -0.06 0.06 0.02 0.09
C -2.577249 0.540522 -4.622083 -0.13 0.10 0.06 -0.06
C -1.529583 0.693970 -3.541891 0.12 -0.16 -0.17 -0.21
O -1.876564 1.722252 -2.597403 -0.02 0.03 0.03 0.03
C -2.792925 1.377762 -1.692907 0.11 -0.03 0.03 -0.61
O -3.308336 0.293634 -1.587494 -0.05 -0.01 0.02 0.12
O -3.021453 2.427855 -0.908866 -0.04 0.03 -0.03 0.00
C -4.044541 2.229507 0.080697 0.01 0.09 -0.05 -0.02
H -2.758169 1.497222 -5.113583 0.05 -0.01 -0.04 0.08
H -2.239304 -0.178237 -5.368606 0.02 0.00 0.00 0.08
H -3.518546 0.186240 -4.204877 0.03 -0.05 0.01 0.08
H -0.582005 1.020424 -3.966333 -0.01 0.08 0.05 0.12
H -1.362295 -0.243867 -3.012203 -0.08 0.02 0.05 0.12
H -3.857743 1.325022 0.650176 -0.04 -0.03 -0.03 0.08
H -5.025282 2.178611 -0.389392 0.02 -0.07 -0.04 0.11
H -4.004857 3.099155 0.726748 -0.01 0.02 -0.02 0.07
C -3.765528 -2.941185 -0.829876 -0.17 -0.03 -0.09 -0.06
C -3.309908 -4.382249 -0.872995 0.23 0.14 0.15 -0.21
O -4.354614 -5.266577 -1.315571 -0.03 -0.03 -0.03 0.04
C -4.569634 -5.281384 -2.628704 -0.02 0.00 0.02 -0.61
O -3.955665 -4.662882 -3.460014 0.01 -0.01 -0.01 0.12
O -5.586186 -6.110227 -2.873835 0.01 0.01 0.01 0.00
C -5.965902 -6.188989 -4.250228 -0.05 -0.06 -0.05 -0.04
H -4.661084 -2.842938 -0.214733 0.04 0.00 0.06 0.09
H -2.983809 -2.308691 -0.409708 0.01 0.00 0.00 0.07
H -3.997651 -2.568789 -1.825766 0.06 0.01 -0.01 0.07
H -3.053246 -4.736966 0.123850 -0.08 -0.07 -0.01 0.12
H -2.436122 -4.507558 -1.512943 -0.06 0.00 -0.08 0.12
H -5.109060 -6.431567 -4.874938 0.02 0.04 0.00 0.09
H -6.403100 -5.246621 -4.576571 0.05 0.02 -0.02 0.10
H -6.706825 -6.980582 -4.308949 0.00 0.01 0.05 0.09
........
## So much for the quantum chemistry results

You see, prayer isn’t just set for time in the pew. It’s available all around us and this digital world has made even more easy for us to pray. Listen to Christian music, book or podcasts at work, on the car ride, while exercising, while getting ready in the morning, waiting in the carpool line, while shopping. When the television goes on, suggest a Christian flick instead of the usual. Follow and like pages on social media sites that talk and promote Christianity, post daily scripture, prayers, etc. and then when scrolling through the feed, there you go…an opportunity for prayer. When checking emails, open the email and treat it just like the others, take action and pray. While trolling the internet, find blogs and sites that talk about prayer, scripture, faith and discernment and then tag them as a favorite to review while online.  Add a book to your phone and read while waiting between classes, during your lunch break, while waiting at practice for a child…The list can go on and on.

In this time and age with all the “busy” stuff, we do have time for prayer more than ever before. There is a plethora of opportunity out there, we just have to open our minds and commit to making it part of our day. 

What are some ways you incorporate daily prayer into your routine?

One Comment

  1. I Thessalonians 5:17 Pray without ceasing. ❤️